It remains to type out the whole of the contents underneath exactly.
<<<
[1]
Computed, not measured: C18H12Cl2N5O12P2RuS as an isolated structure at a distorted geometry, with ωB97M-V with the def2-TZVPD basis set.

Positions of all 53 atoms, in Å:
Ru  10.232  11.546  10.386
Cl  13.172  7.404  10.079
Cl  8.371  4.970  10.104
S  15.666  7.792  6.042
P  8.852  14.078  11.406
P  11.852  14.291  11.024
O  8.871  12.948  10.314
O  16.551  6.675  6.346
O  12.384  15.399  10.208
O  11.890  12.832  10.496
O  8.552  13.359  12.820
O  14.353  7.271  5.662
O  7.932  15.191  11.185
O  10.319  14.619  11.516
O  16.213  8.848  5.193
O  10.154  10.950  12.295
O  11.532  9.879  10.317
O  12.684  14.153  12.413
N  14.618  11.698  10.385
N  8.918  10.132  10.034
N  13.284  12.261  15.373
N  8.807  11.204  15.335
N  11.300  11.069  12.982
C  11.157  11.410  14.239
C  14.811  10.748  9.449
C  16.144  8.910  8.560
C  10.891  8.779  10.134
C  7.593  10.317  9.840
C  15.886  9.828  9.575
C  14.013  10.752  8.273
C  8.594  7.715  10.125
C  7.204  7.934  10.058
C  11.485  7.482  10.063
C  9.275  6.435  10.088
C  14.313  9.867  7.278
C  9.904  11.338  14.912
C  9.429  8.870  10.119
C  6.732  9.229  9.868
C  12.326  11.823  14.880
C  15.292  8.856  7.447
C  10.663  6.359  10.082
H  13.189  11.453  8.248
H  7.229  11.320  9.608
H  6.536  7.081  10.185
H  16.886  8.125  8.648
H  13.706  12.154  10.477
H  5.666  9.409  9.873
H  11.120  5.380  10.001
H  12.833  15.061  12.823
H  9.012  12.494  12.920
H  15.189  11.643  11.234
H  13.852  9.900  6.297
H  16.401  9.701  10.520

Summary:
HOMO (spin up / spin down) in eV: -6.300 / -6.346
Total charge: -1
<S²>: 6.049
Frontier orbital gap (spin up / spin down) in eV: 6.91 / 5.15
Spin multiplicity: 5
Energy relative to the best compared isomer or geometry (same formula, charge and spin) in kJ/mol: 0.0

Atomic charges from the Löwdin analysis, expressed in e, are listed below: number 1, Ru, carries 1.5304; number 2, Cl, carries 0.7946; number 3, Cl, carries 0.6856; number 4, S, carries 0.4138; number 5, P, carries 0.2014; number 6, P, carries 0.2673; number 7, O, carries -0.4475; number 8, O, carries -0.3420; number 9, O, carries -0.2701; number 10, O, carries -0.4505; number 11, O, carries -0.1327; number 12, O, carries -0.3501; number 13, O, carries -0.2516; number 14, O, carries -0.2464; number 15, O, carries -0.3138; number 16, O, carries -0.3346; number 17, O, carries -0.1968; number 18, O, carries -0.1634; number 19, N, carries 0.2389; number 20, N, carries -0.0780; number 21, N, carries 0.1697; number 22, N, carries 0.1889; number 23, N, carries 0.0589; number 24, C, carries -0.3173; number 25, C, carries -0.2717; number 26, C, carries -0.0326; number 27, C, carries -0.3648; number 28, C, carries -0.0635; number 29, C, carries 0.0060; number 30, C, carries 0.0135; number 31, C, carries -0.1554; number 32, C, carries 0.0081; number 33, C, carries -0.6101; number 34, C, carries -0.6160; number 35, C, carries -0.0204; number 36, C, carries -0.1550; number 37, C, carries -0.1243; number 38, C, carries -0.0344; number 39, C, carries -0.1873; number 40, C, carries -0.2125; number 41, C, carries -0.1181; number 42, H, carries 0.1193; number 43, H, carries 0.1216; number 44, H, carries 0.1042; number 45, H, carries 0.1199; number 46, H, carries 0.0748; number 47, H, carries 0.1102; number 48, H, carries 0.1086; number 49, H, carries 0.1195; number 50, H, carries 0.0192; number 51, H, carries 0.1406; number 52, H, carries 0.1276; number 53, H, carries 0.1184



[2]
Computed, not measured: C18H12ClNO7P2Tl as an isolated structure at a distorted geometry, with ωB97M-V with the def2-TZVPD basis set.

Positions of all 42 atoms, in Å:
Tl  -7.069  1.131  -2.090
Cl  4.024  0.420  1.650
P  5.063  2.054  -1.335
P  3.655  3.381  -0.318
O  4.540  0.582  -1.574
O  6.487  1.963  -0.286
O  -1.413  -0.379  1.336
O  5.653  2.678  -2.869
O  1.071  -0.026  3.265
O  -0.240  -1.229  -0.617
O  0.492  4.311  0.289
N  -4.749  2.663  -2.384
C  0.998  0.540  2.053
C  -0.959  -5.184  2.946
C  -1.970  2.159  -0.572
>>>
[1]
Computed, not measured: C18H12Cl2N5O12P2RuS as an isolated structure at a distorted geometry, with ωB97M-V with the def2-TZVPD basis set.

Positions of all 53 atoms, in Å:
Ru  10.232  11.546  10.386
Cl  13.172  7.404  10.079
Cl  8.371  4.970  10.104
S  15.666  7.792  6.042
P  8.852  14.078  11.406
P  11.852  14.291  11.024
O  8.871  12.948  10.314
O  16.551  6.675  6.346
O  12.384  15.399  10.208
O  11.890  12.832  10.496
O  8.552  13.359  12.820
O  14.353  7.271  5.662
O  7.932  15.191  11.185
O  10.319  14.619  11.516
O  16.213  8.848  5.193
O  10.154  10.950  12.295
O  11.532  9.879  10.317
O  12.684  14.153  12.413
N  14.618  11.698  10.385
N  8.918  10.132  10.034
N  13.284  12.261  15.373
N  8.807  11.204  15.335
N  11.300  11.069  12.982
C  11.157  11.410  14.239
C  14.811  10.748  9.449
C  16.144  8.910  8.560
C  10.891  8.779  10.134
C  7.593  10.317  9.840
C  15.886  9.828  9.575
C  14.013  10.752  8.273
C  8.594  7.715  10.125
C  7.204  7.934  10.058
C  11.485  7.482  10.063
C  9.275  6.435  10.088
C  14.313  9.867  7.278
C  9.904  11.338  14.912
C  9.429  8.870  10.119
C  6.732  9.229  9.868
C  12.326  11.823  14.880
C  15.292  8.856  7.447
C  10.663  6.359  10.082
H  13.189  11.453  8.248
H  7.229  11.320  9.608
H  6.536  7.081  10.185
H  16.886  8.125  8.648
H  13.706  12.154  10.477
H  5.666  9.409  9.873
H  11.120  5.380  10.001
H  12.833  15.061  12.823
H  9.012  12.494  12.920
H  15.189  11.643  11.234
H  13.852  9.900  6.297
H  16.401  9.701  10.520

Summary:
HOMO (spin up / spin down) in eV: -6.300 / -6.346
Total charge: -1
<S²>: 6.049
Frontier orbital gap (spin up / spin down) in eV: 6.91 / 5.15
Spin multiplicity: 5
Energy relative to the best compared isomer or geometry (same formula, charge and spin) in kJ/mol: 0.0

Atomic charges from the Löwdin analysis, expressed in e, are listed below: number 1, Ru, carries 1.5304; number 2, Cl, carries 0.7946; number 3, Cl, carries 0.6856; number 4, S, carries 0.4138; number 5, P, carries 0.2014; number 6, P, carries 0.2673; number 7, O, carries -0.4475; number 8, O, carries -0.3420; number 9, O, carries -0.2701; number 10, O, carries -0.4505; number 11, O, carries -0.1327; number 12, O, carries -0.3501; number 13, O, carries -0.2516; number 14, O, carries -0.2464; number 15, O, carries -0.3138; number 16, O, carries -0.3346; number 17, O, carries -0.1968; number 18, O, carries -0.1634; number 19, N, carries 0.2389; number 20, N, carries -0.0780; number 21, N, carries 0.1697; number 22, N, carries 0.1889; number 23, N, carries 0.0589; number 24, C, carries -0.3173; number 25, C, carries -0.2717; number 26, C, carries -0.0326; number 27, C, carries -0.3648; number 28, C, carries -0.0635; number 29, C, carries 0.0060; number 30, C, carries 0.0135; number 31, C, carries -0.1554; number 32, C, carries 0.0081; number 33, C, carries -0.6101; number 34, C, carries -0.6160; number 35, C, carries -0.0204; number 36, C, carries -0.1550; number 37, C, carries -0.1243; number 38, C, carries -0.0344; number 39, C, carries -0.1873; number 40, C, carries -0.2125; number 41, C, carries -0.1181; number 42, H, carries 0.1193; number 43, H, carries 0.1216; number 44, H, carries 0.1042; number 45, H, carries 0.1199; number 46, H, carries 0.0748; number 47, H, carries 0.1102; number 48, H, carries 0.1086; number 49, H, carries 0.1195; number 50, H, carries 0.0192; number 51, H, carries 0.1406; number 52, H, carries 0.1276; number 53, H, carries 0.1184



[2]
Computed, not measured: C18H12ClNO7P2Tl as an isolated structure at a distorted geometry, with ωB97M-V with the def2-TZVPD basis set.

Positions of all 42 atoms, in Å:
Tl  -7.069  1.131  -2.090
Cl  4.024  0.420  1.650
P  5.063  2.054  -1.335
P  3.655  3.381  -0.318
O  4.540  0.582  -1.574
O  6.487  1.963  -0.286
O  -1.413  -0.379  1.336
O  5.653  2.678  -2.869
O  1.071  -0.026  3.265
O  -0.240  -1.229  -0.617
O  0.492  4.311  0.289
N  -4.749  2.663  -2.384
C  0.998  0.540  2.053
C  -0.959  -5.184  2.946
C  -1.970  2.159  -0.572